View Full Version : Of course it was a nigger!

Jim Crow
08-07-2024, 08:00 PM
We started a bathroom remodel today. And as usual, my work partner goes to the dump and I pick up the material for the next day. So I’m making a right turn out of Lowe’s. The lane is completely clear. As I’m getting ready to turn, a little white Hyundai cut me off for no reason, it just swerves right into my fucking lane. My Dodge 2500 loaded with heavy material (tile,lumber,pipes,cenent ect..)and I have to lock the fucking brakes. My blood boiled for an instant,but I let this slide and I kept my cool.
Half mile down the road,the Hyundai is now in the left lane and I’m in the right lane. It’s in front of me,but it’s moving slower and as I’m passing it.it cuts me the fuck off again at the last second, where I had to brake really hard and it nearly sent the pallet of tile into the fucking cab.
I assume it’s a nigger,but I really can’t see who’s driving.So I eventually get in the left lane, speed up and finally get to the light and look.Of course, it’s a fucking nigger! With (c)rap music blaring! Looking at it’s facial expression,it appears to be in another world!
I haven’t started shit on the road for a long time. Because I know once you start it, you have to be committed to all the violence that may ensue. But I had to do it, I cut the muffuggin nigger off! Bad!When the light turned green,I just cut right in front of the spear chucking son of a bitch and it scared the fuck out of it! Stupid fucker swerved and locked the brakes up tight!LOL!
I’m glad it didn’t follow me to fight. The commander was cocked and locked as usual. And the plan was as usual. Get to my destination, park the truck, and allow the fucker to block me in Let the motherfucker get out of its car, start the shit and I will finish it through the car door. Only difference this time was, I had lost my cool!
It just stood way far behind me until I turned off onto the customers side street. And I’m glad, because I don’t want to put this shit on my family, especially at the great place we’ve gotten to at this point in our lives together.
The way liberal laws are today, even self-defense can be held against you. And with my luck, some fucking idiot would say they witnessed me cutting the fucking savage beast off. And the fambly sues! My wife and daughters would get the worst of it!
It’s always the same, niggers always causing problems wherever they go, whatever the fuck they do. And we all know that they’ll probably get away with it. Fucking niggers shouldn’t be allowed to drive! in fact, they shouldn’t be allowed to be around humans!

Niggers are Useless
08-07-2024, 08:34 PM
Of course it was in the fast lane. Was it also playing with its paw phone like every other driving monkey? Not that it matters shit skins should be nowhere near human devices like cars anyway.

• What comes next are crystal structures, not part of the text:
~~~
A geometry-optimized AlFeCoOs structure, computed with PBE.

The calculation puts the magnetic moment at 1.02 μB/atom. The formation energy is -0.19 eV per atom.

The space group is F-43m (No. 216) and the conventional cell measures 5.8764, 5.8764 and 5.8764 Å, with angles of 90.00, 90.00 and 90.00 degrees. Symmetry generates all atoms from Al at (0.0000, 0.0000, 0.0000), Fe at (0.0000, 0.0000, 0.5000), Co at (0.2500, 0.2500, 0.2500) and Os at (0.2500, 0.2500, 0.7500).

=====

## a
First-principles (PBE) data for YZn3O after structural relaxation, as listed in Alexandria via LeMat-Bulk.

Lattice parameters (Å, degrees): 5.679 5.679 5.679 90.00 90.00 90.00
Sites, in units of the cell vectors:
Y (0.000, 0.000, 0.000)
Zn (0.000, 0.000, 0.500)
Zn (0.000, 0.500, 0.000)
Zn (0.500, 0.000, 0.000)
O (0.500, 0.500, 0.500)

Values from the calculation:
calculated density	2731	kg/m³
SG	Pm-3m
magnetization	0.00	Bohr magnetons per cell

=====

## b
First-principles (PBE) data for YZn3O after structural relaxation, as listed in Alexandria via LeMat-Bulk.

Lattice parameters (Å, degrees): 4.459 4.459 4.459 90.00 90.00 90.00
Sites, in units of the cell vectors:
Y (0.000, 0.000, 0.000)
Zn (0.000, 0.500, 0.500)
Zn (0.500, 0.000, 0.500)
Zn (0.500, 0.500, 0.000)
O (0.500, 0.500, 0.500)

Values from the calculation:
calculated density	5641	kg/m³
SG	Pm-3m
magnetization	0.00	Bohr magnetons per cell

=====

What are the relative energies? In meV/atom: a 1353; b 0.

=====

## a
First-principles (PBE) data for Y4Zr3O12 after structural relaxation, as listed in Alexandria via LeMat-Bulk.

Lattice parameters (Å, degrees): 6.432 6.456 6.470 98.88 99.64 99.23
Sites, in units of the cell vectors:
Y (0.000, 0.000, 0.000)
Y (0.091, 0.554, 0.252)
Y (0.534, 0.298, 0.175)
Y (0.698, 0.829, 0.472)
Zr (0.250, 0.085, 0.550)
Zr (0.389, 0.692, 0.861)
Zr (0.778, 0.389, 0.724)
O (0.072, 0.599, 0.899)
O (0.214, 0.256, 0.298)
O (0.318, 0.771, 0.549)
O (0.338, 0.005, 0.941)
O (0.446, 0.372, 0.767)
O (0.465, 0.634, 0.174)
O (0.571, 0.130, 0.469)
O (0.710, 0.750, 0.806)
O (0.815, 0.505, 0.445)
O (0.818, 0.280, 0.025)
O (0.977, 0.130, 0.680)
O (0.983, 0.875, 0.300)

Values from the calculation:
calculated density	5309	kg/m³
SG	P1
magnetization	0.00	Bohr magnetons per cell

=====

## b
First-principles (PBE) data for Y4Zr3O12 after structural relaxation, as listed in Alexandria via LeMat-Bulk.

Lattice parameters (Å, degrees): 6.375 6.432 6.632 99.89 98.49 99.53
Sites, in units of the cell vectors:
Y (0.114, 0.301, 0.134)
Y (0.197, 0.866, 0.390)
Y (0.803, 0.134, 0.610)
Y (0.886, 0.699, 0.866)
Zr (0.347, 0.397, 0.668)
Zr (0.500, 0.000, 0.000)
Zr (0.653, 0.603, 0.332)
O (0.086, 0.416, 0.821)
O (0.087, 0.188, 0.433)
O (0.185, 0.934, 0.060)
O (0.327, 0.570, 0.424)
O (0.421, 0.088, 0.695)
O (0.478, 0.321, 0.120)
O (0.522, 0.679, 0.880)
O (0.579, 0.912, 0.305)
O (0.673, 0.430, 0.576)
O (0.815, 0.066, 0.940)
O (0.913, 0.812, 0.567)
O (0.914, 0.584, 0.179)

Values from the calculation:
~~~
• The crystal structures stop here:

08-08-2024, 04:30 PM
Nigs shouldnt be operating any kind of motor vehicle, dangerous for everybody.

08-09-2024, 04:09 PM
Is there a documented point of time in US history where a goddamn nigger hasn't blasted 'music' in dey shitty getto ride?

Uncanny how they have GOT to be ALWAYS contributing to noise pollution whether behind the wheel, in the street, in neighborhoods, in businesses/stores/public places yelling and sheeet!!!